Bouldering is for Engineers

The sport of choice for builders and problem solvers

Brian Foo
3 min readApr 11, 2014

Bouldering is a form of rock climbing performed without any ropes or harnesses along short distances (usually less than 20 feet). I have been bouldering for about five years, and I’ve observed that the sport tends to attract a mix of programmers, engineers, designers, and analysts. If you happen to go to my climbing gym (in midtown NYC), you’ll likely see folks wearing shirts with website brands, hackathon logos, engineering school emblems, or general nerd jokes. I often wear my Alan Turing (the computer scientist) t-shirt to see how many people come up to me and compliment it (and many do.) Here are my thoughts on why this is.

  1. Problem-solving: In bouldering, climbers ascend specific routes from beginning to end, keeping their hands and feet on the rocks that are marked for that route. Bouldering routes are appropriately called “problems.” One can see why someone whose job it is to conceive solutions to problems would be attracted to this arrangement. Climbers must figure out what sequence of techniques and body positioning they would need to solve a particular problem.
  2. Solo and optionally collaborative: Many engineers like to work on solving problems alone, and naturally, one can climb solo when bouldering. However, just like with engineering, bouldering is often collaborative, where a group of climbers work on solving the same problem together. Other types of climbing such as top rope climbing, where one person supports or “belays” the other, is similar to pair programming, a software development technique where one developer writes code, and the other observes and navigates.
  3. Iterative: The short nature of boulder problems allow climbers to try the problem many times, often tens of times in a single session. Each attempt, climbers make small adjustments to test what sequence of moves are more or less ideal. Often climbers take a “divide-and-conquer” approach, where they solve pieces of problems then put them together. Engineers and especially software developers often take a similar iterative approach when solving problems.
  4. Quantitative: One can easily measure their progress as a climber in cold, hard numbers. Each problem is given a difficulty ranking or a “grade” from 0 to 16. Engineers usually need to measure progress against some set of metrics (e.g. clicks, impressions, events), and the grading system of bouldering does just that.
  5. Open-source: In climbing, there is the term “beta,” or useful information about a particular climbing problem, usually regarding the intended sequence of moves. If you are having trouble with solving a problem, someone might approach you and ask, “You want the beta?” In other words, “Do you want some information about how to solve this problem?” Knowledge-sharing is vital to the software development community, with such ubiquitous concepts as “open-source” or “open-access.” Knowledge-sharing is a similarly common phenomenon of climbing.
  6. Open-ended: One can climb alone or with others, difficult problems or easy ones, for half an hour or all day, indoors or outdoors, in the city or in the country, after work or on the weekend, once a month or every day. Engineers tend to enjoy doing their own thing with whatever structure suits them best. Bouldering and climbing provides one with that freedom.
  7. Accessible: One of the best climbers in the world is a tiny Japanese girl. She is probably the best example of the fact that size and strength are not prerequisites for getting really good at climbing. Being tall and having huge muscles often are disadvantages since many hard problems demand grace, balance, and flexibility over brute strength. If you have the patience to learn the technique of climbing, you can become a good climber no matter what your body type.

[Unrelated to this text: molecular data]
┌──
Record 1
Below is 2 unconnected molecules or ions with the total composition CH4OP2 at a distorted geometry, with properties calculated with the ωB97M-V functional and the def2-TZVPD basis.

XYZ file:
```
8
Properties=species:S:1:pos:R:3:forces:R:3:mulliken_charge:R:1
C 1.35122 0.24931 -0.26754 -2.63 -0.10 -0.08 -0.91
O -3.07008 -0.21619 -0.07156 -4.12 1.65 0.31 -0.43
P -1.77838 -0.77906 -0.26260 3.77 -1.84 -0.11 0.19
P -0.33141 0.78486 0.32931 -0.31 -1.20 1.04 0.07
H 2.01418 0.31983 0.51258 1.75 -0.07 1.79 0.32
H 1.54922 1.04875 -0.91255 0.45 1.69 -1.03 0.32
H 1.47121 -0.59340 -0.88899 -0.14 -1.47 -0.25 0.37
H -1.20596 -0.81410 1.56134 1.23 1.34 -1.67 0.07
```
Forces are in eV/Å.

As for the LUMO energy: -1.449 eV. The value obtained for the energy above the lowest of the compared OMol25 structures with the same formula, charge and spin is 204.60 kJ/mol. The net charge is 0. The total energy is -21723.8878 eV. The frontier orbital gap comes out at 7.1 eV.


Record 2
Below is CH4OP2 in the gas phase at a distorted geometry, with properties calculated with the ωB97M-V functional and the def2-TZVPD basis.

XYZ file:
```
8
Properties=species:S:1:pos:R:3:forces:R:3:mulliken_charge:R:1
O 0.05547 1.85291 -0.00900 0.10 0.63 -0.13 -0.45
C 0.02165 0.65521 -0.01381 1.61 0.01 0.63 0.40
P 1.66150 -0.26845 0.03075 0.19 -0.07 -3.34 -0.01
P -1.46987 -0.28673 0.16091 -1.88 -1.00 -1.95 -0.15
H 1.94194 -0.08985 1.28276 0.70 1.16 3.19 0.04
H 1.30590 -1.55180 0.39410 -0.71 -0.81 -0.25 0.02
H -1.33856 -0.91377 -1.16080 0.47 -0.40 1.13 0.07
H -2.17803 0.60250 -0.68491 -0.48 0.48 0.73 0.07
```
Forces are in eV/Å.

As for the LUMO energy: 0.407 eV. The value obtained for the energy above the lowest of the compared OMol25 structures with the same formula, charge and spin is 132.22 kJ/mol. The net charge is 0. The total energy is -21724.6379 eV. The frontier orbital gap comes out at 9.6 eV.


Record 3
Below is 2 unconnected molecules or ions with the total composition CH4OS at a distorted geometry, with properties calculated with the ωB97M-V functional and the def2-TZVPD basis.

XYZ file:
```
7
Properties=species:S:1:pos:R:3:forces:R:3:mulliken_charge:R:1
C 0.03699 1.43659 0.08994 -0.59 -1.37 0.62 -0.68
O 0.80115 -1.52613 0.61115 1.86 0.60 1.02 -0.37
S -0.52514 -1.96598 0.19456 -1.36 -0.71 -1.86 0.19
H 0.07099 2.50485 -0.08541 0.08 -0.28 -0.07 0.31
H 0.51885 0.66673 -0.53648 -0.16 0.99 0.27 0.19
H -0.57107 1.00863 0.92758 0.67 0.78 -0.85 0.20
H -0.33178 -2.12469 -1.20134 -0.52 0.00 0.86 0.16
```
Forces are in eV/Å.

As for the LUMO energy (alpha / beta): -1.208 / 0.168 eV. The value obtained for the energy above the lowest of the compared OMol25 structures with the same formula, charge and spin is 301.84 kJ/mol. The net charge is 0. The total energy is -13980.6600 eV. The frontier orbital gap (alpha / beta) comes out at 7.6 / 9.6 eV.


Record 4
└──

Even though this post is an analysis of bouldering, I hope it also serves as praise and promotion for the sport. I would highly recommend trying it a few times (a few because it will take a few sessions before you start to get a feel for it.) Bouldering is a unique mix of physical activity, thinking, collaboration, and fun.



Brian Foo

Web developer, artist, joyologist. I write about the art-making process in the persective of a software developer.